Driving along Le Sueur County Rd. 36 (also known as Ottawa Road) to its junction with Le Sueur County Rd. 23, you will come upon the unincorporated community of Ottawa, currently home to a just over three hundred residents.
They are surrounded by the visible history of their community—a town hall, a school, and a few original houses, some still occupied, as well as the 160-year-old Ottawa Methodist Episcopal Church, which stands at the corner of Liberty and Whittier Streets.
Often called the Little Stone Church, it is one of the three oldest Methodist church buildings in Minnesota and has been on the National Register of Historic Places since 1982. It recently received what might be called a “structural face lift,” including installation of a historically accurate bell tower, thanks to work done by Goodrich Construction of Mankato.
In 1856, two years before Minnesota became a state, the Ottawa (United) Methodist Episcopal Church congregation was organized. They built the Little Stone Church in 1859 on land deeded by David and Hannah Patten, who received $15 for it. The church was constructed of locally quarried dolostone which some people say has a pink hue.

The church was a gathering place for Methodist worshipers for nearly a century. In 1952, the congregation closed the church and relocated themselves to a church building in another Le Sueur County community. After many years of use—followed by years of non-use—the historic Little Stone Church’s renovation makes it once again a site for worship, weddings, funerals, family celebrations and other activities.
It was a big deal to go to Ottawa. I ran into family members and listened to stories they told of bygone times. It’s probably there that I picked up an interest in history.Dean Pettis
Historical treasure
In 1967, 15 years after the church’s closing, the Minnesota Annual Conference of the Methodist Church donated the Little Stone Church to the Le Sueur County Historical Society.
Gradual deterioration of the church building occurred despite the efforts of countless volunteers. During the half century since receiving the church in 1967, members of the Le Sueur County Historical Society performed routine maintenance on the exterior while the organization used the building for storing historic artifacts.
On summer weekends, volunteers opened the church’s doors to visitors whose interest in history led them to Ottawa. The historical society also made the Little Stone Church available for people’s use for special occasions and events—which is now also the plan for the future of the restored church.

Back in service
Occasional services were held in the church over the years. As recently as September 2019, an ecumenical service was held to commemorate the church’s 160-year anniversary. The event was part of a century-old tradition of holding fall harvest celebrations there. Those who attended heard the historic pump organ being played with foot pedals, listened to readings from an 1884 edition of the Bible that sits on the lectern and heard a sermon preached by Pastor Jason Lang of Le Sueur, as well as a presentation by historical society board member Bryce Stenzel.
[Crystal structures, as found in the file]
- - -
Density functional theory data (PBE-GGA) for a relaxed CuP3H16C3NO12 crystal.

Values from the calculation:
Mass density in g/cm3: 2.0
DFT formation energy in eV/atom: -1.21
Energy in eV/atom: -5.7049
Total magnetic moment in μB per atom: 0.029

Cell: 9.2589 16.3349 9.6049 Å, 90.00 112.28 90.00°
Last column: nearest neighbours and their distance in Å.
Fractional positions:
Cu1 0.4636 0.2909 0.3337  4 O 1.95-2.02
Cu2 0.5364 0.7909 0.1663  4 O 1.95-2.02
Cu3 0.5364 0.7091 0.6663  4 O 1.95-2.02
Cu4 0.4636 0.2091 0.8337  4 O 1.95-2.02
P1 0.8321 0.2089 0.5291  3 O 1.51-1.60
P2 0.1679 0.7089 0.9709  3 O 1.51-1.60
P3 0.1679 0.7911 0.4709  3 O 1.51-1.60
P4 0.8321 0.2911 0.0291  3 O 1.51-1.60
P5 0.0610 0.4641 0.7742  3 O 1.52-1.58
P6 0.9390 0.9641 0.7258  3 O 1.52-1.58
P7 0.9390 0.5359 0.2258  3 O 1.52-1.58
P8 0.0610 0.0359 0.2742  3 O 1.52-1.58
P9 0.4716 0.3768 0.6275  3 O 1.51-1.58
P10 0.5284 0.8768 0.8725  3 O 1.51-1.58
P11 0.5284 0.6232 0.3725  3 O 1.51-1.58
P12 0.4716 0.1232 0.1275  3 O 1.51-1.58
H1 0.7580 0.2030 0.2565  1 C 1.10
H2 0.2420 0.7030 0.2435  1 C 1.10
H3 0.2420 0.7970 0.7435  1 C 1.10
H4 0.7580 0.2970 0.7565  1 C 1.10
H5 0.9547 0.1723 0.3585  1 C 1.10
H6 0.0453 0.6723 0.1415  1 C 1.10
H7 0.0453 0.8277 0.6415  1 C 1.10
H8 0.9547 0.3277 0.8585  1 C 1.10
H9 0.7935 0.4283 0.6036  1 C 1.10
H10 0.2065 0.9283 0.8964  1 C 1.10
H11 0.2065 0.5717 0.3964  1 C 1.10
H12 0.7935 0.0717 0.1036  1 C 1.10
H13 0.8035 0.5231 0.6966  1 C 1.10
H14 0.1965 0.0231 0.8034  1 C 1.10
H15 0.1965 0.4769 0.3034  1 C 1.10
H16 0.8035 0.9769 0.1966  1 C 1.10
H17 0.5958 0.5021 0.7479  1 C 1.10
H18 0.4042 0.0021 0.7521  1 C 1.10
H19 0.4042 0.4979 0.2521  1 C 1.10
H20 0.5958 0.9979 0.2479  1 C 1.10
H21 0.5905 0.4265 0.8804  1 C 1.10
H22 0.4095 0.9265 0.6196  1 C 1.10
H23 0.4095 0.5735 0.1196  1 C 1.10
H24 0.5905 0.0735 0.3804  1 C 1.10
H25 0.0723 0.5966 0.7512  1 O 1.03
H26 0.9277 0.0966 0.7488  1 O 1.03
H27 0.9277 0.4034 0.2488  1 O 1.03
H28 0.0723 0.9034 0.2512  1 O 1.03
H29 0.2419 0.4127 0.6363  1 O 1.02
H30 0.7581 0.9127 0.8637  1 O 1.02
H31 0.7581 0.5873 0.3637  1 O 1.02
H32 0.2419 0.0873 0.1363  1 O 1.02
H33 0.9754 0.3253 0.5839  1 O 1.00
H34 0.0246 0.8253 0.9161  1 O 1.00
H35 0.0246 0.6747 0.4161  1 O 1.00
H36 0.9754 0.1747 0.0839  1 O 1.00
H37 0.6857 0.3792 0.3192  1 O 0.98
H38 0.3143 0.8792 0.1808  1 O 0.98
H39 0.3143 0.6208 0.6808  1 O 0.98
H40 0.6857 0.1208 0.8192  1 O 0.98
H41 0.6179 0.3323 0.1623  1 O 1.01
H42 0.3821 0.8323 0.3377  1 O 1.01
H43 0.3821 0.6677 0.8377  1 O 1.01
H44 0.6179 0.1677 0.6623  1 O 1.01
H45 0.2131 0.3929 0.0691  1 O 0.99
H46 0.7869 0.8929 0.4309  1 O 0.99
H47 0.7869 0.6071 0.9309  1 O 0.99
H48 0.2131 0.1071 0.5691  1 O 0.99
H49 0.1465 0.3342 0.1589  1 O 0.99
H50 0.8535 0.8342 0.3411  1 O 0.99
H51 0.8535 0.6658 0.8411  1 O 0.99
H52 0.1465 0.1658 0.6589  1 O 0.99
H53 0.2450 0.1859 0.3291  1 O 0.99
H54 0.7550 0.6859 0.1709  1 O 0.99
H55 0.7550 0.8141 0.6709  1 O 0.99
H56 0.2450 0.3141 0.8291  1 O 0.99
H57 0.3167 0.2236 0.4963  1 O 0.99
- - -
Had the weather been colder, an old wood stove could have been used to warm people sitting in pews that date back to 1859. Because there are not nearly enough pews to seat the approximately 125 people who attended, the anniversary service was literally standing room only.
Several years ago, LCHS members saw evidence of the need for major repairs to the church.
It had become obvious that the steeple was seriously leaning. In 2018, they called on Goodrich Construction not only to address the steeple’s condition, but also to stabilize the church building itself.
The grand finale — reattachment of the bell tower on Oct. 12, 2020 — was the result of ongoing efforts by many volunteers, including LCHS president Bill Stangler and vice-president Dean Pettis. For Pettis, who did not grow up in Ottawa, the church has special meaning because his mother taught Sunday School there as a young woman, and his grandmother is one of several relatives buried in the church cemetery.
It took some time to develop the reconstruction project from idea to completion, but the project moved ahead swiftly once fund-raising began. In November 2019, LCHS members and fellow non-profit Ottawa Historians asked for the public’s help in renovating the church and reattaching the church tower.

It took about a year to raise the $180,000 needed, according to LCHS president Bill Stangler. Funding included donations from many individuals and a donation from Unimin, a corporation that has a mining operation in Le Sueur County. The Carl and Verna Schmidt Foundation generously provided twice-matching funds—$2 for each $1 that had been raised by the historical society.
A Goodrich Construction crew began the renovation work in autumn of 2019, completing it in the summer of 2020.
Generous response to the historical society’s fund-raising efforts made it possible to provide the church with new cedar shakes and structural supports. (The church steeple had been removed several years earlier after it began to tilt, threatening the roof and structural stability of the building.) Before constructing the new bell tower, the Goodrich crew first completed a new roof and placed new steel trusses in the back of the church to support the new roof. The construction crew also set into place a steel frame to hold the bell tower, which was lifted in several parts by a crane.
There is a reason that the bell tower differs in appearance from the wooden steeple that crowned the roof line of the church for the past century—authenticity. That steeple, which many people remember, was not original to the old stone church of pioneer days. In the search for authenticity, the LCHS Board of Directors used photos from the Society’s archives to make the restoration as historically authentic as possible. Visitors will have the opportunity to examine and appreciate the church’s authenticity at future celebrations.
On the horizon
What’s next for the Le Sueur County Historical Society?
Of the several buildings owned and cared for by the LCHS, none was in as much need of renovation as the Little Stone Church, but future plans may include repairing and renovating some of the other county buildings.
Pettis pointed out that it’s particularly important that roofs are well maintained, as historic collections are stored in some of the buildings. The historic school in Elysian houses a considerable portion of the LCHS’s collection of artifacts, including farm implements and household appliances. Adjacent to the school is a separate building that holds paper archives. The LCHS also owns and maintains the historic school in Ottawa and a church in Cleveland, in which artifacts also are stored.